Work order.
It remains to work out how many lines underneath have the word "of" in them; a number is enough.
Given.
........
[1]
For Li4GeSe4, a DFT-relaxed cell (PBE, Alexandria) gives the computed powder XRD pattern in this record (Cu Kα (weighted mean of Kα1 and Kα2)).
Neutral-atom scattering factors, no anomalous dispersion.

Largest 6 diffraction maxima, sorted by position, 2θ = 10–80°:
2θ/deg  I (rel.)
16.6  41
25.0  55
25.5  100
27.8  44
28.4  47
44.6  57

a = 7.006 Å, b = 7.006 Å, c = 8.274 Å
α = 90.00°, β = 90.00°, γ = 87.01°
Atoms (fractional coordinates):
Li  0.083  0.611  0.750
Li  0.331  0.331  0.000
Li  0.331  0.331  0.500
Li  0.389  0.917  0.750
Li  0.611  0.083  0.250
Li  0.669  0.669  0.000
Li  0.669  0.669  0.500
Li  0.917  0.389  0.250
Ge  0.160  0.840  0.250
Ge  0.840  0.160  0.750
Se  0.170  0.228  0.750
Se  0.228  0.170  0.250
Se  0.301  0.699  0.010
Se  0.301  0.699  0.490
Se  0.699  0.301  0.510
Se  0.699  0.301  0.990
Se  0.772  0.830  0.750
Se  0.830  0.772  0.250

[2]
For KYSn, a DFT-relaxed cell (PBE, Alexandria) gives the computed powder XRD pattern in this record (Cu Kα (weighted mean of Kα1 and Kα2)).
Neutral-atom scattering factors, no anomalous dispersion.

Largest 6 diffraction maxima, sorted by position, 2θ = 10–80°:
2θ/deg  I (rel.)
13.4  98
27.0  43
30.1  29
33.1  100
40.9  26
51.7  28

a = 7.563 Å, b = 4.978 Å, c = 7.389 Å
α = 90.00°, β = 119.17°, γ = 90.00°
Atoms (fractional coordinates):
K  0.000  0.003  0.250
K  0.000  0.997  0.750
Y  0.500  0.500  0.000
Y  0.500  0.500  0.500
Sn  0.500  0.000  0.250
Sn  0.500  0.000  0.750

[3]
For CeDyTm, a DFT-relaxed cell (PBE, Alexandria) gives the computed powder XRD pattern in this record (Cu Kα (weighted mean of Kα1 and Kα2)).
Neutral-atom scattering factors, no anomalous dispersion.

Largest 6 diffraction maxima, sorted by position, 2θ = 10–80°:
2θ/deg  I (rel.)
31.4  100
36.4  50
52.4  36
62.3  42
65.4  9
77.2  6

a = 3.492 Å, b = 3.492 Å, c = 8.570 Å
α = 90.00°, β = 90.00°, γ = 120.00°
Atoms (fractional coordinates):
Ce  0.000  0.000  0.000
Dy  0.333  0.667  0.667
Tm  0.667  0.333  0.329

[4]
For Ac6Ag5Ge, a DFT-relaxed cell (PBE, Alexandria) gives the computed powder XRD pattern in this record (Cu Kα (weighted mean of Kα1 and Kα2)).
Neutral-atom scattering factors, no anomalous dispersion.

Largest 6 diffraction maxima, sorted by position, 2θ = 10–80°:
2θ/deg  I (rel.)
22.5  21
31.9  25
32.1  100
32.2  25
45.9  28
57.3  29

a = 8.869 Å, b = 8.869 Å, c = 7.890 Å
α = 90.00°, β = 90.00°, γ = 143.42°
Atoms (fractional coordinates):
Ac  0.000  0.000  0.244
Ac  0.000  0.000  0.756
Ac  0.336  0.664  0.248
Ac  0.336  0.664  0.752
Ac  0.664  0.336  0.248
Ac  0.664  0.336  0.752
Ag  0.169  0.831  0.500
Ag  0.172  0.828  0.000
Ag  0.500  0.500  0.500
Ag  0.828  0.172  0.000
Ag  0.831  0.169  0.500
Ge  0.500  0.500  0.000

[5]
For SrGa2Ru2, a DFT-relaxed cell (PBE, Alexandria) gives the computed powder XRD pattern in this record (Cu Kα (weighted mean of Kα1 and Kα2)).
Neutral-atom scattering factors, no anomalous dispersion.

Largest 6 diffraction maxima, sorted by position, 2θ = 10–80°:
2θ/deg  I (rel.)
18.3  81
32.9  100
33.3  67
35.9  85
44.6  47
46.1  81

a = 8.369 Å, b = 7.082 Å, c = 6.161 Å
α = 78.05°, β = 55.88°, γ = 46.07°
Atoms (fractional coordinates):
Sr  0.125  0.125  0.125
Sr  0.875  0.875  0.875
Ga  0.177  0.573  0.177
Ga  0.427  0.823  0.427
Ga  0.573  0.177  0.573
Ga  0.823  0.427  0.823
Ru  0.269  0.269  0.481
Ru  0.481  0.481  0.269
Ru  0.519  0.519  0.731
Ru  0.731  0.731  0.519

[6]
For Ni5Pt7, a DFT-relaxed cell (PBE, Alexandria) gives the computed powder XRD pattern in this record (Cu Kα (weighted mean of Kα1 and Kα2)).
Neutral-atom scattering factors, no anomalous dispersion.

Largest 6 diffraction maxima, sorted by position, 2θ = 10–80°:
2θ/deg  I (rel.)
32.2  22
40.9  100
41.0  95
47.5  62
47.8  32
69.7  48

a = 8.537 Å, b = 8.537 Å, c = 3.805 Å
α = 90.00°, β = 90.00°, γ = 142.96°
Atoms (fractional coordinates):
Ni  0.000  0.000  0.000
Ni  0.000  0.500  0.500
Ni  0.166  0.834  0.000
Ni  0.500  0.000  0.500
Ni  0.834  0.166  0.000
........
Solution.
6